Next, say how many lines of the data below hold the word "AlO2", as a bare number.
Density functional theory data (PBE) for a relaxed structure of KAgC2N2.

Cell lengths 7.574, 7.574, 17.690 Å; angles 90.00, 90.00, 120.00 degrees
Fractional coordinates of all 36 atoms:
1 K 0.333 0.667 0.997
2 K 0.667 0.333 0.003
3 K 0.667 0.333 0.497
4 K 0.333 0.667 0.503
5 K 0.000 0.000 0.000
6 K 0.000 0.000 0.500
7 Ag 0.167 0.833 0.250
8 Ag 0.334 0.167 0.750
9 Ag 0.833 0.167 0.750
10 Ag 0.833 0.666 0.750
11 Ag 0.666 0.833 0.250
12 Ag 0.167 0.334 0.250
13 C 0.946 0.668 0.856
14 C 0.946 0.279 0.644
15 C 0.668 0.721 0.144
16 C 0.054 0.332 0.144
17 C 0.721 0.668 0.644
18 C 0.721 0.054 0.856
19 C 0.332 0.279 0.856
20 C 0.668 0.946 0.356
21 C 0.279 0.946 0.144
22 C 0.332 0.054 0.644
23 C 0.279 0.332 0.356
24 C 0.054 0.721 0.356
25 N 0.670 0.006 0.417
26 N 0.006 0.670 0.917
27 N 0.337 0.006 0.083
28 N 0.670 0.663 0.083
29 N 0.994 0.330 0.083
30 N 0.994 0.663 0.417
31 N 0.337 0.330 0.417
32 N 0.330 0.994 0.583
33 N 0.663 0.994 0.917
34 N 0.006 0.337 0.583
35 N 0.663 0.670 0.583
36 N 0.330 0.337 0.917

E (MP2020) = -6.643 eV/atom
Energy of formation = -0.131 eV per atom
Mass density = 2.3 g/cm³
Magnetization = 0.01 μB/f.u.

Density functional theory data (PBE) for a relaxed structure of Cd3In2Te6.

Cell lengths 6.428, 9.185, 8.011 Å; angles 72.26, 66.35, 90.00 degrees
Fractional coordinates of all 11 atoms:
1 Cd 0.991 0.989 0.014
2 Cd 0.366 0.167 0.333
3 Cd 0.671 0.344 0.653
4 In 0.985 0.505 0.002
5 In 0.654 0.828 0.665
6 Te 0.260 0.738 0.024
7 Te 0.559 0.889 0.339
8 Te 0.918 0.082 0.665
9 Te 0.250 0.252 0.001
10 Te 0.564 0.444 0.328
11 Te 0.950 0.595 0.643

E (MP2020) = -3.092 eV/atom
Energy of formation = -0.625 eV per atom
Mass density = 5.4 g/cm³
Magnetization = 0.00 μB/f.u.

Density functional theory data (PBE) for a relaxed structure of AsSeBr.

Cell lengths 4.828, 4.828, 4.828 Å; angles 60.00, 60.00, 60.00 degrees
Fractional coordinates of all 3 atoms:
1 As 0.000 0.000 0.000
2 Se 0.250 0.250 0.250
3 Br 0.500 0.500 0.500

E (MP2020) = -2.884 eV/atom
Energy of formation = 0.380 eV per atom
Mass density = 4.9 g/cm³
Magnetization = 0.00 μB/f.u.

Density functional theory data (PBE) for a relaxed structure of Cs2RuO4.

Cell lengths 6.618, 8.664, 11.761 Å; angles 90.00, 90.00, 90.00 degrees
Fractional coordinates of all 28 atoms:
1 Cs 0.250 0.669 0.581
2 Cs 0.750 0.331 0.419
3 Cs 0.250 0.169 0.919
4 Cs 0.750 0.831 0.081
5 Cs 0.750 0.007 0.704
6 Cs 0.250 0.993 0.296
7 Cs 0.750 0.507 0.796
8 Cs 0.250 0.493 0.204
9 Ru 0.750 0.276 0.079
10 Ru 0.250 0.724 0.921
11 Ru 0.750 0.776 0.421
12 Ru 0.250 0.224 0.579
13 O 0.973 0.702 0.352
14 O 0.473 0.298 0.648
15 O 0.527 0.202 0.148
16 O 0.027 0.798 0.852
17 O 0.027 0.298 0.648
18 O 0.527 0.702 0.352
19 O 0.473 0.798 0.852
20 O 0.973 0.202 0.148
21 O 0.250 0.017 0.580
22 O 0.750 0.983 0.420
23 O 0.250 0.517 0.920
24 O 0.750 0.483 0.080
25 O 0.750 0.203 0.935
26 O 0.250 0.797 0.065
27 O 0.750 0.703 0.565
28 O 0.250 0.297 0.435

E (MP2020) = -6.139 eV/atom
Energy of formation = -1.730 eV per atom
Mass density = 4.2 g/cm³

Density functional theory data (PBE) for a relaxed structure of AlO2.

Cell lengths 3.005, 4.157, 10.613 Å; angles 90.00, 90.00, 90.00 degrees
Fractional coordinates of all 12 atoms:
1 Al 0.250 0.640 0.662
2 Al 0.250 0.860 0.162
3 Al 0.750 0.360 0.338
4 Al 0.750 0.140 0.838
5 O 0.750 0.843 0.961
6 O 0.750 0.657 0.461
7 O 0.250 0.157 0.039
8 O 0.250 0.343 0.539
9 O 0.750 0.650 0.203
10 O 0.750 0.850 0.703
11 O 0.250 0.350 0.797
12 O 0.250 0.150 0.297

E (MP2020) = -6.967 eV/atom
Energy of formation = -2.420 eV per atom
Mass density = 3.0 g/cm³
Magnetization = 1.00 μB/f.u.

Density functional theory data (PBE) for a relaxed structure of Pr2MgIn.

Cell lengths 5.523, 5.523, 5.523 Å; angles 60.00, 60.00, 60.00 degrees
Fractional coordinates of all 4 atoms:
1 Pr 0.250 0.250 0.250
2 Pr 0.750 0.750 0.750
3 Mg 0.000 0.000 0.000
4 In 0.500 0.500 0.500

Energy of formation = -0.326 eV per atom
Mass density = 5.9 g/cm³
1